
Doom eternal crucible
Doom eternal crucible

doom eternal crucible

-- Next to the entry, the page also holds materials data --
=====
(1)
A relaxed structure of Ag2Se, computed with PBE.

Values from the calculation:
crystal system: tetragonal
ΔH_f (0 K): -0.199 eV per atom
calculated total energy: -0.1138 hartree per atom
space-group type: I4/mmm (139)

Cell: 4.5532 4.5532 4.5532 Å, 119.22 119.22 91.35°
With the nearest neighbours (Å) after each atom.
Sites, in units of the cell vectors:
Ag 0.2500 0.7500 0.5000  4 Se 2.80
Ag 0.7500 0.2500 0.5000  4 Se 2.80
Se 0.0000 0.0000 0.0000  8 Ag 2.80

---

(2)
A relaxed structure of SrGa4, computed with PBE.

Values from the calculation:
crystal system: tetragonal
ΔH_f (0 K): -0.419 eV per atom
calculated total energy: -0.1169 hartree per atom
space-group type: I4/mmm (139)

Cell: 6.2838 6.2838 6.2838 Å, 138.16 138.16 60.65°
With the nearest neighbours (Å) after each atom.
Sites, in units of the cell vectors:
Sr 0.0000 0.0000 0.0000  16 Ga 3.42-3.52
Ga 0.2500 0.7500 0.5000  4 Ga 2.67
Ga 0.3827 0.3827 0.0000  5 Ga 2.54-2.67
Ga 0.6173 0.6173 0.0000  5 Ga 2.54-2.67
Ga 0.7500 0.2500 0.5000  4 Ga 2.67

---

(3)
A relaxed structure of MgBi2O4, computed with PBE.

Values from the calculation:
crystal system: trigonal
ΔH_f (0 K): -1.877 eV per atom
calculated total energy: -0.2077 hartree per atom
space-group type: R3m (160)

Cell: 6.7343 6.7343 6.7343 Å, 61.80 61.80 61.80°
With the nearest neighbours (Å) after each atom.
Sites, in units of the cell vectors:
Mg 0.0000 0.0000 0.0000  4 O 2.05-2.14
Mg 0.3763 0.3763 0.3763  6 O 2.14-2.35
Bi 0.3751 0.3751 0.8815  6 O 2.39-2.42
Bi 0.3751 0.8815 0.3751  6 O 2.39-2.42
Bi 0.7593 0.7593 0.7593  4 O 2.17-2.30
Bi 0.8815 0.3751 0.3751  6 O 2.39-2.42
O 0.1262 0.1262 0.1262  1 Mg 2.05
O 0.1324 0.1324 0.6191  2 Mg 2.14-2.35, 2 Bi 2.39
O 0.1324 0.6191 0.1324  2 Mg 2.14-2.35, 2 Bi 2.39
O 0.1632 0.5978 0.5978  1 Mg 2.14, 1 Bi 2.30
O 0.5978 0.1632 0.5978  1 Mg 2.14, 1 Bi 2.30
O 0.5978 0.5978 0.1632  1 Mg 2.14, 1 Bi 2.30
O 0.6191 0.1324 0.1324  2 Mg 2.14-2.35, 2 Bi 2.39
O 0.6260 0.6260 0.6260  4 Bi 2.17-2.42

---

(4)
A relaxed structure of LiB6H6, computed with PBE.

Values from the calculation:
crystal system: cubic
ΔH_f (0 K): -0.355 eV per atom
calculated total energy: -0.1862 hartree per atom
space-group type: Fm-3 (202)

Cell: 7.1649 7.1649 7.1649 Å, 60.00 60.00 60.00°
With the nearest neighbours (Å) after each atom.
Sites, in units of the cell vectors:
Li 0.2500 0.2500 0.2500  12 H 2.75
Li 0.7500 0.7500 0.7500  12 H 2.75
B 0.0552 0.2291 0.9448  1 H 1.20
B 0.0552 0.7709 0.2291  1 H 1.20
B 0.0552 0.9448 0.7709  1 H 1.20
B 0.2291 0.0552 0.7709  1 H 1.20
B 0.2291 0.7709 0.9448  1 H 1.20
B 0.2291 0.9448 0.0552  1 H 1.20
B 0.7709 0.0552 0.9448  1 H 1.20
B 0.7709 0.2291 0.0552  1 H 1.20
B 0.7709 0.9448 0.2291  1 H 1.20
B 0.9448 0.0552 0.2291  1 H 1.20
B 0.9448 0.2291 0.7709  1 H 1.20
B 0.9448 0.7709 0.0552  1 H 1.20
H 0.1003 0.3906 0.8997  1 B 1.20
H 0.1003 0.6094 0.3906  1 B 1.20
H 0.1003 0.8997 0.6094  1 B 1.20
H 0.3906 0.1003 0.6094  1 B 1.20
H 0.3906 0.6094 0.8997  1 B 1.20
H 0.3906 0.8997 0.1003  1 B 1.20
=====

More quick-cure epoxy was added to the red “gems” above the Doom Slayer’s symbol, and leather strips wrapped around the hilt to complete the look. Don't waste it on fodder enemies, and instead hone in on killing the more powerful enemies, making sure to. The Cruicible was finished with a careful coat of Plastidip, then hand painted with acrylics. IGNs Doom Eternal complete strategy guide and walkthrough will lead you through every step of Doom Eternal from the title screen to the final credits, including every collectible. After the cutscene plays, you can now use the Crucible to insta-kill any enemy type. One of the Doom Slayer’s symbols was affixed with hidden magnets in order to keep the hidden battery pack accessible beneath. Each symbol was painted and coated with a quick-cure epoxy for a high gloss shine. Each Doom Slayer symbol was cut in EVA foam, backed with LED foam to allow the red light through each symbol. This was further built up with foam clay, and detailed with 5mm and 2mm EVA foam pieces. The Crucible’s hilt is constructed using 10mm EVA foam, glued in several layers around the acryic base and LEDs. Fanfiction Crossover Doom Slayer Romance Fanfiction. The Crucible, a central plot item in Doom (2016) and in Doom Eternal, is an artifact from Argent D'Nur which wields mysterious control over the Argent energy reserves of Hell, capable of shutting downand apparently reactivatingthe source of that energy known as the Well. This battery powered four LEDs on a separate circuit which illuminates the Doom Slayer’s symbol. Doom Slayer struggled against his restraints as he attempted to grab the doctor and retake the Crucible. Contents 1 Davoth 2 Other Dark Lords 3 Personality 4 Combat Characteristics 4.1 Attacks 5 Quotes 6 Trivia 7 Gallery 8 References Davoth SPOILER WARNING: Plot details follow. Wiring was also run down the hilt to the pommel, where a D-battery was concealed. The Crucible, also called the Crucible blade, is a weapon in Doom Eternal, a legendary sword which was taken up by the Doom Slayer after his empowerment by the Seraphim during the attack on Taras Nabad by the forces of Hell. The first Dark Lord, Davoth, serves as the main antagonist of Doom Eternal: The Ancient Gods and by extension, the entire Doom series.

doom eternal crucible doom eternal crucible

_Calculated crystals, kept here for reference_
~~~
56
Lattice="-4.264 -5.151 2.077 2.583 0.541 6.644 -11.150 10.629 3.471" Properties=species:S:1:pos:R:3 comment="PBE-GGA CaSb2P2O9, optimized geometry" crystal_system=orthorhombic formation_enthalpy_0k_mev_per_atom=-2513.0 pbc="T T T"
O -6.943 0.850 5.557
Sb -0.801 0.283 4.958
O -10.448 7.163 6.369
O -8.508 4.084 5.962
O -2.382 -1.144 5.823
O -7.095 2.010 8.122
O -3.882 -2.957 6.553
P -2.516 -2.689 5.869
P -5.083 -1.771 2.878
O -5.522 1.713 2.965
O -9.264 6.771 3.677
Sb -2.132 -2.575 1.039
Sb -12.030 5.736 7.233
O -2.817 1.639 4.183
O -8.897 1.790 3.879
O -8.949 8.975 5.638
Ca -9.550 4.901 10.252
O -11.042 4.324 5.759
O -5.237 -3.302 3.166
O -11.473 9.289 5.386
O -2.732 3.857 5.455
O 0.362 -0.005 6.633
P -5.476 3.239 2.692
O -10.014 4.380 8.009
P -10.314 8.707 6.322
O -3.567 -0.752 8.515
Sb 0.000 0.000 0.000
O -7.593 9.321 9.026
O -4.322 1.935 6.230
O -8.808 2.494 9.957
Sb -5.638 5.752 8.593
O -1.357 -3.270 6.806
O -3.647 -1.380 2.391
Sb -7.193 0.267 3.599
O -7.308 4.306 9.227
O -13.193 6.023 5.559
Sb -6.415 3.009 6.096
O -2.410 -3.334 4.489
O -5.887 5.169 6.634
O -4.022 3.525 2.234
P -2.956 2.311 5.565
Sb -4.283 5.585 5.057
Ca -3.280 1.118 1.940
O -3.934 4.229 8.312
O -1.789 1.695 6.432
Ca -8.071 6.597 5.692
P -7.748 7.789 9.314
O -5.396 -0.976 4.206
P -9.875 3.708 6.627
O -9.184 7.399 9.801
O -10.421 9.352 7.703
O -5.735 4.009 4.069
Ca -4.759 -0.578 6.499
O -7.435 6.995 7.986
O -10.099 2.162 6.737
P -7.354 2.780 9.500


12
Lattice="7.283 0.000 0.000 0.000 4.781 0.000 0.000 0.411 4.794" Properties=species:S:1:pos:R:3 comment="PBE-GGA BiPO4, optimized geometry" crystal_system=monoclinic formation_enthalpy_0k_mev_per_atom=-2410.8 pbc="T T T"
O 1.821 1.564 1.694
Bi 1.821 4.210 0.656
O 4.262 3.946 0.837
P 1.821 1.900 3.202
P 5.462 3.291 1.592
O 1.821 3.440 3.322
O 6.663 3.946 0.837
O 5.462 3.627 3.100
O 0.620 1.245 3.957
O 3.022 1.245 3.957
O 5.462 1.752 1.472
Bi 5.462 0.982 4.138


16
Lattice="6.476 -0.065 0.000 -3.295 5.707 0.000 0.000 0.000 10.490" Properties=species:S:1:pos:R:3 comment="PBE-GGA CsMg14Nb, optimized geometry" crystal_system=orthorhombic formation_enthalpy_0k_mev_per_atom=276.9 pbc="T T T"
Mg 1.559 4.708 1.311
Mg 1.587 4.683 6.556
Mg -0.091 3.879 4.028
Mg 3.202 1.886 6.556
Nb -1.572 4.799 1.311
Mg 4.775 0.854 4.136
Mg -1.676 4.739 6.556
Mg 3.246 3.776 9.269
Mg -0.091 3.879 9.085
Cs -0.048 1.875 1.311
Mg -0.001 1.902 6.556
Mg 3.209 1.850 1.311
Mg 4.775 0.854 8.976
Mg 1.666 0.835 4.028
Mg 1.666 0.835 9.085
Mg 3.246 3.776 3.844


30
Lattice="2.987 -5.174 0.000 2.987 5.174 0.000 0.000 0.000 14.917" Properties=species:S:1:pos:R:3 comment="PBE-GGA Ba3CaRu2O9, optimized geometry" crystal_system=hexagonal formation_enthalpy_0k_mev_per_atom=-2477.6 pbc="T T T"
O 1.637 2.504 11.188
Ba 2.987 -1.725 8.942
O 4.396 -0.911 6.107
O 2.987 0.166 11.188
O 2.987 -3.352 6.107
O 2.987 -0.166 3.729
O 4.396 -0.911 1.352
O 1.578 0.911 8.810
Ba 2.987 1.725 1.483
Ca 0.000 0.000 0.000
Ba 2.987 1.725 5.976
Ba 2.987 -1.725 13.435
Ba 0.000 0.000 11.188
~~~

#Doom eternal crucible portable#

Between two parts of the entry: materials data.
- - -
1.
KLuO2 | r²SCAN | optimized geometry

Output
The total moment comes out at 0.0 μB/f.u. Its space group is R-3m. As for the total energy: -205.83 eV/cell. As for the formation energy from the elements: -3.14 eV per atom. As for the crystal system: trigonal.

Cell lengths 3.347, 3.347, 18.483 Å; angles 90.00, 90.00, 120.00 degrees
Element x y z (fractional)
K 0.000 0.000 0.000
K 0.333 0.667 0.667
K 0.667 0.333 0.333
Lu 0.000 0.000 0.500
Lu 0.333 0.667 0.167
Lu 0.667 0.333 0.833
O 0.000 0.000 0.227
O 0.000 0.000 0.773
O 0.333 0.667 0.439
O 0.333 0.667 0.894
O 0.667 0.333 0.106
O 0.667 0.333 0.561

---

2.
Cs | r²SCAN | optimized geometry

Output
The total moment comes out at 0.2 μB/f.u. Its energy above the lowest structure with this stoichiometry is 0.033 eV/atom. Its space group is Pm-3n. As for the total energy: -200.60 eV/cell. As for the formation energy from the elements: 0.03 eV per atom. As for the crystal system: cubic.

Cell lengths 9.965, 9.965, 9.965 Å; angles 90.00, 90.00, 90.00 degrees
Element x y z (fractional)
Cs 0.000 0.000 0.000
Cs 0.000 0.250 0.500
Cs 0.000 0.750 0.500
Cs 0.250 0.500 0.000
Cs 0.500 0.000 0.250
Cs 0.500 0.000 0.750
Cs 0.500 0.500 0.500
Cs 0.750 0.500 0.000

---

3.
B5H9 | r²SCAN | optimized geometry

Output
The total moment comes out at 0.0 μB/f.u. Its space group is I4mm. As for the total energy: -68.57 eV/cell. As for the formation energy from the elements: -0.05 eV per atom. As for the crystal system: tetragonal.

Cell lengths 5.771, 5.771, 5.771 Å; angles 102.22, 102.22, 125.21 degrees
Element x y z (fractional)
B 0.000 0.000 0.000
B 0.037 0.211 0.826
B 0.211 0.037 0.826
B 0.211 0.386 0.174
B 0.386 0.211 0.174
H 0.186 0.522 0.337
H 0.186 0.849 0.663
H 0.249 0.249 0.737
H 0.249 0.512 0.000
H 0.512 0.249 0.000
H 0.512 0.512 0.263
H 0.522 0.186 0.337
H 0.777 0.777 0.000
H 0.849 0.186 0.663

---

4.
VCl4 | r²SCAN | optimized geometry

Output
The total moment comes out at 1.0 μB/f.u. Its space group is P2/c. As for the total energy: -180.36 eV/cell. As for the formation energy from the elements: -1.28 eV per atom. As for the crystal system: monoclinic.

Cell lengths 12.330, 6.400, 12.716 Å; angles 90.00, 116.85, 90.00 degrees
Element x y z (fractional)
V 0.235 0.070 0.082
V 0.235 0.930 0.582
V 0.765 0.070 0.418
V 0.765 0.930 0.918
Cl 0.107 0.082 0.425
Cl 0.107 0.918 0.925
Cl 0.168 0.377 0.083
Cl 0.168 0.623 0.583
Cl 0.260 0.097 0.737
Cl 0.260 0.903 0.237
Cl 0.409 0.082 0.083
Cl 0.409 0.918 0.583
Cl 0.591 0.082 0.417
Cl 0.591 0.918 0.917
Cl 0.740 0.097 0.763
Cl 0.740 0.903 0.263
Cl 0.832 0.377 0.417
Cl 0.832 0.623 0.917
Cl 0.893 0.082 0.075
Cl 0.893 0.918 0.575

---

5.
Mg2ZnSb2 | r²SCAN | optimized geometry

Output
The total moment comes out at 0.0 μB/f.u. Its space group is P3m1. As for the total energy: -70.31 eV/cell. As for the formation energy from the elements: -0.33 eV per atom. As for the crystal system: trigonal.

Cell lengths 4.437, 4.437, 7.265 Å; angles 90.00, 90.00, 120.00 degrees
- - -

Once the blade was secured to the would-be hilt, a strip of red LEDs was carefully glued in place around the bottom of the acrylic, wired to a portable USB battery pack which would be hidden in the hilt. The blade was heavy, so needed to be stabilized with two flat steel bars, held in place with 6 individual bolts and an overfit PVC pipe. The Crucible was created first with a laser cut piece of acrylic, etched with a pattern of 18 “ demon runes” I created based on in-game art.

Doom eternal crucible